The SUPERB project has been launched in Romania
The SUPERB project, Europe’s largest cross-border Horizon 2020 project, was launched in the presence of the Prince of Wales in Sibiu, Romania, on 30 May 2022. The Romanian Minister of Environment, Waters and Forests, Barna Tánczos, was also present at the meeting. EUSTAFOR is on the advisory board of the project, which is being coordinated by the European Forest Institute (EFI). The project, whose full name is “Systemic solutions for upscaling of urgent ecosystem restoration for forest-related biodiversity and ecosystem services,” involves more than 100 forest science and practice organizations in 20 countries and, most importantly, includes 12 large-scale forest restoration demonstration sites across Europe.
A unique aspect of the SUPERB project is the 12 demonstration sites, which are expected to result in a practical “Restoration Gateway” or tool kit of restoration support tools, guidelines, recommendations for those who intend to undertake forest restoration in future. The project is thus intended to remain relevant well beyond the 4 years for which it is funded. EFI’s CEO, Marc Palahi, stated that the SUPERB project will allow “some of the leading scientists and practitioners in Europe to demonstrate […] how we can restore forest landscapes for different purposes and benefits.” One of those benefits should be increased biodiversity, the topic of EFI’s newly-published report “Forest Biodiversity in Europe” (part of EFI’s From Science to Policy series) which was also presented during the launch of the SUPERB project. The report provides policymakers as well as forest and landscape managers with a better understanding of the complex subject of biodiversity in the context of European forests.
EFI also coordinates the Circular Bioeconomy Alliance which, in the words of the Prince of Wales who established the alliance in 2020, aims to provide “knowledge-informed support as well as a learning and networking platform to connect the dots between investors, companies, governmental and non-governmental organizations and local communities to advance the circular bioeconomy while restoring biodiversity globally.” The alliance is therefore well-aligned with the SUPERB project and is even funding one of the demonstration sites in the Romanian Carpathian Mountains. The 12 demonstration sites are located in Croatia, the Czech Republic, Denmark, France, Germany, Italy, the Netherlands, Romania, Serbia, Spain (Castilla y León), Sweden and the United Kingdom (Scotland).
The first day of work at the kick-off meeting included presentations of the project’s 8 work packages and 12 demonstration sites. The second day of the meeting provided an opportunity for further coordination of the work packages and the development of the draft work plans of the demonstration sites. Participants were also invited to visit the field during a 2-day excursion following the meeting.
Work in all of the demonstration sites, which represent different stages of reforestation, is already well underway. However, although it quickly became clear that the project will involve a massive amount of data, the means of establishing a baseline and subsequent means for measuring the outcomes of this enormous project are still under discussion. Finding commonalities among the very diverse demonstration sites is particularly challenging, even more so because it is not clear what results can be expected from the restorative undertakings in the field. The European Commission Project Officer, Colombe Waring, made it clear that the Commission is relying on this project to provide insights for further legislative proposals concerning the practical implementation of its goals in line with its Green Deal.
EUSTAFOR has an advisory role in the SUPERB project and will be principally involved in providing feedback to and from our members through the dissemination of the project’s questionnaires, surveys and results. The initial questionnaire will be distributed in December 2022, and members will be provided with regular updates over the coming 4 years.
Between two parts of the piece: records of molecules.
1 | This record from the Open Molecules 2025 dataset describes 4 unconnected molecules or ions with the total composition C3H15NO3S. The level of theory is ωB97M-V/def2-TZVPD.

Geometry as XYZ:
```
23
Properties=species:S:1:pos:R:3:nbo_charge:R:1
C -0.836 0.765 -1.899 -0.427
N 0.391 0.083 -1.495 -0.663
C 0.567 -0.066 -0.058 -0.237
C 1.396 -1.299 0.252 -0.486
S 1.648 -1.524 2.068 -0.097
H -1.222 1.447 -1.142 0.213
H -0.651 1.333 -2.807 0.199
H -1.608 0.041 -2.168 0.192
H 1.211 0.464 -1.952 0.371
H -0.421 -0.135 0.398 0.207
H 1.069 0.809 0.376 0.186
H 2.372 -1.280 -0.202 0.223
H 0.883 -2.212 -0.030 0.222
H 2.961 -1.279 2.132 0.137
O -0.376 1.009 2.921 -0.979
H -0.330 1.310 3.834 0.479
H 0.000 0.118 2.870 0.496
O -2.211 2.260 1.090 -0.966
H -1.617 2.042 1.826 0.496
H -2.306 3.217 1.109 0.463
O -0.197 -2.493 -2.732 -0.973
H -0.059 -1.605 -2.328 0.488
H -0.665 -3.004 -2.064 0.457
```

The calculation puts the orbital gap at 0.3545 hartree. The calculation puts the highest occupied orbital energy at -9.129 eV. As for the spin multiplicity: 1. Its SMILES is CNCCS.O.O.O.

---

2 | This record from the Open Molecules 2025 dataset describes 4 unconnected molecules or ions with the total composition C3H15NO3S. The level of theory is ωB97M-V/def2-TZVPD.

Geometry as XYZ:
```
23
Properties=species:S:1:pos:R:3:nbo_charge:R:1
C -0.636 2.414 1.606 -0.431
N -0.180 1.213 0.950 -0.638
C 1.273 1.182 0.864 -0.216
C 1.702 -0.156 0.208 -0.537
S 3.266 -0.864 0.748 -0.035
H -1.380 2.970 1.027 0.194
H 0.103 3.178 1.871 0.200
H -1.191 2.257 2.544 0.185
H -0.494 0.317 1.294 0.362
H 1.680 2.007 0.290 0.199
H 1.761 1.098 1.849 0.160
H 0.985 -0.979 0.201 0.219
H 1.814 0.049 -0.843 0.228
H 2.846 -1.339 1.925 0.109
O -0.941 -2.921 -1.593 -0.940
H -0.937 -3.439 -0.773 0.468
H -0.600 -3.607 -2.183 0.474
O -2.950 1.783 -1.124 -0.921
H -3.892 2.007 -1.117 0.460
H -2.854 1.474 -0.214 0.462
O -3.350 -1.064 -1.999 -0.948
H -2.678 -1.508 -1.501 0.478
H -2.999 -0.942 -2.882 0.468
```

The calculation puts the orbital gap at 0.3357 hartree. The calculation puts the highest occupied orbital energy at -8.754 eV. As for the spin multiplicity: 1. Its SMILES is CNCCS.O.O.O.

---

Stability ranking, top and bottom: 1 is the most stable and 2 is the least stable.

---

1 | This record from the Open Molecules 2025 dataset describes a single CH2N4O molecule. The level of theory is ωB97M-V/def2-TZVPD.

Geometry as XYZ:
```
8
Properties=species:S:1:pos:R:3:nbo_charge:R:1
H -0.878 -1.533 -1.700 0.357
N -0.320 -0.665 -1.819 -0.655
C -0.157 -0.251 -0.629 0.555
N -0.571 -0.815 0.588 -0.239
N -0.082 -0.133 1.515 0.053
N 0.762 0.811 1.031 -0.141
O 0.611 0.843 -0.343 -0.317
H 0.635 1.744 1.356 0.387
```

The calculation puts the orbital gap at 0.3567 hartree. The calculation puts the highest occupied orbital energy at -9.892 eV. As for the spin multiplicity: 1. Its SMILES is [H]/N=c1\nn[nH]o1.

---
More information is available on the SUPERB website, which was launched on the first day of the meeting.
Published 03/06/2022, Brussels
Ms. Sophie HUGON
Communications Officer
- +32 (0) 474 750 141